### Wanted
Please reproduce all of the notes further down exactly.

### Excerpt
Record 1
Entry from the Open Molecules 2025 dataset: a molecular structure, C29H25GaN7S in a non-equilibrium geometry (ωB97M-V/def2-TZVPD).

Structure (XYZ):
```
63
C29H25GaN7S, DFT ωB97M-V/def2-TZVPD
Ga 1.4342 1.0017 -0.7566
N 2.0183 -0.1249 0.6270
C 1.8525 -0.8113 1.6561
C 1.6230 -2.3288 1.5241
C 2.3810 -3.1854 2.3419
C 2.1977 -4.5478 2.2220
C 1.2711 -5.1406 1.4015
C 0.5780 -4.2656 0.5724
C 0.8585 -2.9002 0.5673
C 1.9495 -0.2237 3.0685
C 1.5360 -0.8782 4.1851
C 1.7005 -0.2869 5.4282
C 2.2557 0.9919 5.5550
C 2.6615 1.6641 4.3916
C 2.4782 1.0257 3.1621
H 3.0096 -2.7520 3.0917
H 2.8120 -5.1081 2.9215
H 1.0115 -6.2034 1.5008
H -0.1505 -4.6603 -0.1421
H 0.4678 -2.2479 -0.1618
H 1.1404 -1.8827 4.1304
H 1.4849 -0.9702 6.2656
H 2.4070 1.4588 6.5534
H 3.1468 2.6528 4.3916
H 2.8165 1.5068 2.2435
S 2.8416 3.0563 -0.8998
C 4.3732 2.6292 -1.5426
N 5.4868 3.3810 -1.3286
C 6.6676 2.7305 -1.9594
C 6.1071 1.3493 -2.3045
N 4.6835 1.5000 -2.1630
H 5.3399 4.3455 -0.9518
H 7.5609 2.6738 -1.3231
H 6.9565 3.2452 -2.8698
H 6.4161 0.5507 -1.5792
H 6.3934 0.9473 -3.3007
H 4.0100 0.9067 -2.6118
N 1.6819 -0.7962 -3.3254
C 1.5960 -0.0817 -2.3999
N -5.3984 0.5367 -0.5091
C -6.5195 0.0599 -1.1966
C -7.7190 -0.5470 -0.8653
C -8.5724 -0.9953 -1.8959
C -8.2205 -0.9261 -3.2037
C -6.9890 -0.3076 -3.5963
C -6.1700 0.2915 -2.6312
N -4.8982 0.7812 -2.7379
C -4.4555 0.9240 -1.4607
C -3.1408 1.4046 -1.1929
C -2.5693 1.1647 0.0774
C -1.2074 1.3197 0.2133
N -0.4309 1.5104 -0.9180
C -0.9462 1.7631 -2.1790
C -2.3323 1.8421 -2.3021
H -5.2873 0.7807 0.4819
H -7.9976 -0.7698 0.1643
H -9.5076 -1.4314 -1.6956
H -8.8741 -1.4599 -3.9046
H -6.8214 -0.1646 -4.6326
H -3.1289 0.8265 0.9469
H -0.7352 1.2658 1.1479
H -0.3204 1.7340 -3.0779
H -2.8145 2.1755 -3.2136
```

Total charge ... +1
E_LUMO ... -0.14450 Eh



Record 2
Entry from the Open Molecules 2025 dataset: 9 unconnected molecules or ions with the total composition C14H17F42N2O2P7 in a non-equilibrium geometry (ωB97M-V/def2-TZVPD).

Structure (XYZ):
```
84
C14H17F42N2O2P7, DFT ωB97M-V/def2-TZVPD
C 5.7922 -1.3508 1.0143
N 4.4313 -1.4637 0.5561
C 3.9250 -0.4943 -0.3104
C 2.7570 -0.6823 -0.9409
C 1.9716 -1.8997 -0.8893
C 2.7039 -2.9045 -0.0801
C 3.8848 -2.6890 0.5112
C 0.8130 -2.1870 -1.4742
C 0.1221 -3.4884 -1.2621
C -0.9140 -3.8720 -1.9966
N -1.4809 -3.1575 -3.0307
C -0.9795 -1.8444 -3.1840
C 0.0414 -1.3779 -2.4275
C -2.5653 -3.6950 -3.8716
H 5.9430 -1.7109 2.0455
H 6.0621 -0.2670 1.1510
H 6.5323 -1.7923 0.3111
H 4.5317 0.3635 -0.4056
H 2.4293 0.1485 -1.5717
H 2.3014 -3.9226 -0.0477
H 4.4816 -3.4642 1.0080
H 0.4022 -4.1657 -0.4254
H -1.1564 -4.9336 -1.8742
H -1.5958 -1.1537 -3.7610
H 0.1781 -0.3116 -2.4743
H -2.2199 -4.2135 -4.7826
H -3.2517 -2.8937 -4.1630
H -3.1350 -4.4239 -3.2702
P -12.7658 -2.6418 -6.5901
F -14.1269 -1.7494 -6.2610
F -13.4463 -3.8756 -5.7165
F -13.5556 -3.2155 -7.9258
F -11.4750 -3.6438 -6.9173
F -12.1252 -1.4591 -7.3873
F -12.0646 -2.1410 -5.2112
P -9.6652 7.7941 6.7902
F -9.6521 8.5475 8.2266
F -9.2835 6.3215 7.4469
F -11.2431 7.4364 7.0263
F -9.6205 7.0997 5.2859
F -10.0934 9.1893 6.1710
F -8.0997 8.0128 6.6861
P 5.7101 9.4349 8.9896
F 6.8821 9.5123 10.1232
F 6.8558 9.8291 7.8746
F 5.9831 7.9278 8.7937
F 4.5475 9.3363 7.8625
F 4.6201 9.1402 10.1913
F 5.4334 10.9956 9.1118
P -4.9984 -3.0037 -7.6867
F -5.6608 -4.1518 -6.7525
F -5.9012 -3.5089 -8.9225
F -6.1937 -2.0441 -7.1614
F -4.3443 -1.8993 -8.6775
F -4.0630 -2.5375 -6.4405
F -3.9245 -4.0727 -8.1635
P 1.8479 9.6386 -1.7546
F 1.1746 9.1089 -3.1091
F 1.9635 11.1005 -2.3818
F 0.4043 10.1011 -1.1559
F 2.6021 10.0624 -0.3452
F 1.6568 8.1194 -1.1882
F 3.3166 9.2288 -2.3670
P 8.3775 -7.5358 -4.7773
F 7.6505 -8.2570 -6.0660
F 6.9530 -7.3450 -4.1031
F 8.4527 -8.9864 -4.0440
F 9.0832 -6.7544 -3.4607
F 9.8188 -7.8259 -5.4351
F 8.2113 -6.1657 -5.6238
P -5.8681 -7.7384 6.2277
F -6.3793 -6.1667 6.0501
F -6.1802 -7.7734 7.8282
F -7.4826 -8.1168 5.9448
F -5.4809 -9.3212 6.2661
F -5.5485 -7.7445 4.6443
F -4.3635 -7.3115 6.6341
C 11.1473 3.0790 3.3078

### Completed
Record 1
Entry from the Open Molecules 2025 dataset: a molecular structure, C29H25GaN7S in a non-equilibrium geometry (ωB97M-V/def2-TZVPD).

Structure (XYZ):
```
63
C29H25GaN7S, DFT ωB97M-V/def2-TZVPD
Ga 1.4342 1.0017 -0.7566
N 2.0183 -0.1249 0.6270
C 1.8525 -0.8113 1.6561
C 1.6230 -2.3288 1.5241
C 2.3810 -3.1854 2.3419
C 2.1977 -4.5478 2.2220
C 1.2711 -5.1406 1.4015
C 0.5780 -4.2656 0.5724
C 0.8585 -2.9002 0.5673
C 1.9495 -0.2237 3.0685
C 1.5360 -0.8782 4.1851
C 1.7005 -0.2869 5.4282
C 2.2557 0.9919 5.5550
C 2.6615 1.6641 4.3916
C 2.4782 1.0257 3.1621
H 3.0096 -2.7520 3.0917
H 2.8120 -5.1081 2.9215
H 1.0115 -6.2034 1.5008
H -0.1505 -4.6603 -0.1421
H 0.4678 -2.2479 -0.1618
H 1.1404 -1.8827 4.1304
H 1.4849 -0.9702 6.2656
H 2.4070 1.4588 6.5534
H 3.1468 2.6528 4.3916
H 2.8165 1.5068 2.2435
S 2.8416 3.0563 -0.8998
C 4.3732 2.6292 -1.5426
N 5.4868 3.3810 -1.3286
C 6.6676 2.7305 -1.9594
C 6.1071 1.3493 -2.3045
N 4.6835 1.5000 -2.1630
H 5.3399 4.3455 -0.9518
H 7.5609 2.6738 -1.3231
H 6.9565 3.2452 -2.8698
H 6.4161 0.5507 -1.5792
H 6.3934 0.9473 -3.3007
H 4.0100 0.9067 -2.6118
N 1.6819 -0.7962 -3.3254
C 1.5960 -0.0817 -2.3999
N -5.3984 0.5367 -0.5091
C -6.5195 0.0599 -1.1966
C -7.7190 -0.5470 -0.8653
C -8.5724 -0.9953 -1.8959
C -8.2205 -0.9261 -3.2037
C -6.9890 -0.3076 -3.5963
C -6.1700 0.2915 -2.6312
N -4.8982 0.7812 -2.7379
C -4.4555 0.9240 -1.4607
C -3.1408 1.4046 -1.1929
C -2.5693 1.1647 0.0774
C -1.2074 1.3197 0.2133
N -0.4309 1.5104 -0.9180
C -0.9462 1.7631 -2.1790
C -2.3323 1.8421 -2.3021
H -5.2873 0.7807 0.4819
H -7.9976 -0.7698 0.1643
H -9.5076 -1.4314 -1.6956
H -8.8741 -1.4599 -3.9046
H -6.8214 -0.1646 -4.6326
H -3.1289 0.8265 0.9469
H -0.7352 1.2658 1.1479
H -0.3204 1.7340 -3.0779
H -2.8145 2.1755 -3.2136
```

Total charge ... +1
E_LUMO ... -0.14450 Eh



Record 2
Entry from the Open Molecules 2025 dataset: 9 unconnected molecules or ions with the total composition C14H17F42N2O2P7 in a non-equilibrium geometry (ωB97M-V/def2-TZVPD).

Structure (XYZ):
```
84
C14H17F42N2O2P7, DFT ωB97M-V/def2-TZVPD
C 5.7922 -1.3508 1.0143
N 4.4313 -1.4637 0.5561
C 3.9250 -0.4943 -0.3104
C 2.7570 -0.6823 -0.9409
C 1.9716 -1.8997 -0.8893
C 2.7039 -2.9045 -0.0801
C 3.8848 -2.6890 0.5112
C 0.8130 -2.1870 -1.4742
C 0.1221 -3.4884 -1.2621
C -0.9140 -3.8720 -1.9966
N -1.4809 -3.1575 -3.0307
C -0.9795 -1.8444 -3.1840
C 0.0414 -1.3779 -2.4275
C -2.5653 -3.6950 -3.8716
H 5.9430 -1.7109 2.0455
H 6.0621 -0.2670 1.1510
H 6.5323 -1.7923 0.3111
H 4.5317 0.3635 -0.4056
H 2.4293 0.1485 -1.5717
H 2.3014 -3.9226 -0.0477
H 4.4816 -3.4642 1.0080
H 0.4022 -4.1657 -0.4254
H -1.1564 -4.9336 -1.8742
H -1.5958 -1.1537 -3.7610
H 0.1781 -0.3116 -2.4743
H -2.2199 -4.2135 -4.7826
H -3.2517 -2.8937 -4.1630
H -3.1350 -4.4239 -3.2702
P -12.7658 -2.6418 -6.5901
F -14.1269 -1.7494 -6.2610
F -13.4463 -3.8756 -5.7165
F -13.5556 -3.2155 -7.9258
F -11.4750 -3.6438 -6.9173
F -12.1252 -1.4591 -7.3873
F -12.0646 -2.1410 -5.2112
P -9.6652 7.7941 6.7902
F -9.6521 8.5475 8.2266
F -9.2835 6.3215 7.4469
F -11.2431 7.4364 7.0263
F -9.6205 7.0997 5.2859
F -10.0934 9.1893 6.1710
F -8.0997 8.0128 6.6861
P 5.7101 9.4349 8.9896
F 6.8821 9.5123 10.1232
F 6.8558 9.8291 7.8746
F 5.9831 7.9278 8.7937
F 4.5475 9.3363 7.8625
F 4.6201 9.1402 10.1913
F 5.4334 10.9956 9.1118
P -4.9984 -3.0037 -7.6867
F -5.6608 -4.1518 -6.7525
F -5.9012 -3.5089 -8.9225
F -6.1937 -2.0441 -7.1614
F -4.3443 -1.8993 -8.6775
F -4.0630 -2.5375 -6.4405
F -3.9245 -4.0727 -8.1635
P 1.8479 9.6386 -1.7546
F 1.1746 9.1089 -3.1091
F 1.9635 11.1005 -2.3818
F 0.4043 10.1011 -1.1559
F 2.6021 10.0624 -0.3452
F 1.6568 8.1194 -1.1882
F 3.3166 9.2288 -2.3670
P 8.3775 -7.5358 -4.7773
F 7.6505 -8.2570 -6.0660
F 6.9530 -7.3450 -4.1031
F 8.4527 -8.9864 -4.0440
F 9.0832 -6.7544 -3.4607
F 9.8188 -7.8259 -5.4351
F 8.2113 -6.1657 -5.6238
P -5.8681 -7.7384 6.2277
F -6.3793 -6.1667 6.0501
F -6.1802 -7.7734 7.8282
F -7.4826 -8.1168 5.9448
F -5.4809 -9.3212 6.2661
F -5.5485 -7.7445 4.6443
F -4.3635 -7.3115 6.6341
C 11.1473 3.0790 3.3078